Supreme Court ruling supports renewed calls for EI reform
In a rare unanimous decision, the Supreme Court of Canada recently confirmed the constitutionality of the federal government’s provision of parental benefits under Employment Insurance (EI). The federal government now has no excuse not to do a better job of ensuring that this essential social program is meaningful for all employed women and men.
The Supreme Court decision overturns the 2004 Quebec Court of Appeal ruling that the 1940 constitutional amendment granting jurisdiction over employment insurance to the federal government did not also transfer power over parental leave benefits. The Government of Quebec had sought such a ruling in the face of the Chrétien government’s stonewalling over transferring adequate money from federal EI funds to support a new provincially administered—and more generous—parental benefits program for Quebec workers.
With the Supreme Court decision, women—over 90% of those who access parental benefits—can breathe a sign of relief. The new Quebec program is scheduled to begin January 2006: Quebec and Ottawa struck the necessary agreement last March. And women in the rest of Canada, with less generous provincial governments, have retained a critical national program.
But sighs of relief must turn quickly to renewed calls for the federal government to live up to its full obligations to women. And here the Supreme Court’s judgment is again instructive.
First, the Court explicitly underscores the social nature of unemployment insurance: that EI provision for breaks in paid employment can be responsive to changes in the workplace. As the ruling states, “the social nature of unemployment insurance requires that Parliament be able to adapt the Plan to the new realities of the workplace.” When maternity benefits were first introduced in 1971 as part of the then Unemployment Insurance scheme, just over one-third of women with children under age 16 were employed. In the intervening 30 years or so, women’s involvement in the paid labour force has expanded. In 2005, we know that most women were engaged in the work force for some significant period in their lives, earning income their families need. Adequate parental leave benefits must be part of this new reality.
The Court goes on to emphasize the responsibility the federal government bears to enable women’s equality in Canada’s paid labour force, noting this responsibility tracks the rise in women’s involvement in paid employment and thus configures the government’s jurisdiction over employment insurance.
The first paid maternity benefits represented a signal victory for Canadian women’s labour rights and a turning-point in Canadian social policy. For the first time, mothers had access to social insurance wage replacement benefits in respect of their distinct childbearing/rearing obligations. In 2003, 65% of employed mothers with a child 12 months of age and younger received some EI maternity or parental paid leave benefits.
Maternity/parental benefits play a critical role in securing women’s equality by supporting women’s dual responsibilities for family and paid work. And the federal government, with constitutional authority to provide these benefits, bears a responsibility to do so adequately and fully.
The sad reality is that, while provisions for accommodating the caregiving responsibilities of Canada’s workers (in respect of both maternity/parental and compassionate care benefits) stand out as one arena in which income benefits have actually expanded, these benefits remain inaccessible to many Canadian women. Too many working women remain uncovered by the plan, and too many women who are covered can’t afford to take the full leave on the miserly benefit level provided.
Moreover, the pattern of exclusion from EI reinforces social and economic inequalities among women, with Aboriginal, visible minority, and young mothers most likely to be effectively denied the expanded provisions enjoyed by the majority. These inequities are stark enough that they warranted concerned comment by the United Nations Committee for the Elimination of Discrimination Against Women in 2003.
The federal government’s equality obligations under its Human Rights Code, the Canadian Charter of Rights and Freedoms, and international human rights treaties require a better job of keeping pace with changing workplace and family realities. The following reforms are essential:
- Better access for workers in part-time and part-year jobs, most of them women, through lowering the qualifying conditions for parental and regular EI benefits, for example, to 360 hours as recommended by a Parliamentary Committee;
- Extension of EI special benefit coverage to self-employed workers, as Quebec has begun to do with parental benefits;
- Reinstatement of government contributions to the EI program to help pay for benefits; the federal government has not contributed since 1989;
### Records of crystals from another source follow
+++
Entry 1:
Theoretical XRD peak list
Compound: Li2Sm5Sn7
Radiation: λ = 1.5418 Å (Cu Kα)
Structure: a DFT-relaxed cell (PBE, the Materials Project)

Top 10 peaks for 2θ from 15° to 90°, low angle first:
d = 3.105 Å, 28.75°, rel. 22
d = 2.823 Å, 31.70°, rel. 44
d = 2.805 Å, 31.90°, rel. 74
d = 2.687 Å, 33.34°, rel. 100
d = 2.617 Å, 34.27°, rel. 41
d = 2.570 Å, 34.91°, rel. 39
d = 2.483 Å, 36.18°, rel. 22
d = 2.021 Å, 44.86°, rel. 27
d = 1.477 Å, 62.95°, rel. 21
d = 1.435 Å, 65.00°, rel. 26

Crystal structure
```
Li2Sm5Sn7
1.0
6.212 0.000 0.000
0.000 13.728 0.000
0.000 0.000 17.307
Li Sm Sn
8 20 28
direct
0.077 0.231 0.020
0.110 0.231 0.728
0.390 0.769 0.228
0.423 0.769 0.520
0.577 0.269 0.980
0.610 0.269 0.272
0.890 0.731 0.772
0.923 0.731 0.480
0.138 0.176 0.217
0.141 0.503 0.483
0.144 0.502 0.764
0.145 0.180 0.541
0.152 0.925 0.377
0.348 0.075 0.877
0.355 0.820 0.041
0.356 0.498 0.264
0.359 0.497 0.983
0.362 0.824 0.717
0.638 0.324 0.783
0.641 0.997 0.517
0.644 0.998 0.236
0.645 0.320 0.459
0.652 0.575 0.623
0.848 0.425 0.123
0.855 0.680 0.959
0.856 0.002 0.736
0.859 0.003 0.017
0.862 0.676 0.283
0.093 0.879 0.879
0.110 0.626 0.121
0.139 0.651 0.623
0.139 0.937 0.565
0.152 0.944 0.188
0.177 0.313 0.378
0.201 0.309 0.872
0.299 0.691 0.372
0.323 0.687 0.878
0.348 0.056 0.688
0.361 0.063 0.065
0.361 0.349 0.123
0.390 0.374 0.621
0.407 0.121 0.379
0.593 0.621 0.121
0.610 0.874 0.879
0.639 0.563 0.435
0.639 0.849 0.377
0.652 0.556 0.812
0.677 0.187 0.622
0.701 0.191 0.128
0.799 0.809 0.628
0.823 0.813 0.122
0.848 0.444 0.312
0.861 0.151 0.877
0.861 0.437 0.935
0.890 0.126 0.379
0.907 0.379 0.621
```

***

Entry 2:
Theoretical XRD peak list
Compound: RbHfMg14
Radiation: λ = 1.5418 Å (Cu Kα)
Structure: a DFT-relaxed cell (PBE, the Materials Project)

Top 10 peaks for 2θ from 15° to 90°, low angle first:
d = 5.746 Å, 15.42°, rel. 54
d = 3.844 Å, 23.14°, rel. 47
d = 2.873 Å, 31.13°, rel. 32
d = 2.793 Å, 32.05°, rel. 20
d = 2.586 Å, 34.68°, rel. 23
d = 2.512 Å, 35.75°, rel. 100
d = 1.922 Å, 47.29°, rel. 19
d = 1.659 Å, 55.39°, rel. 18
d = 1.478 Å, 62.86°, rel. 18
d = 1.396 Å, 67.03°, rel. 19

Crystal structure
```
RbHfMg14
1.0
6.635 0.000 0.000
-3.317 5.746 0.000
0.000 0.000 10.346
Rb Hf Mg
1 1 14
direct
0.000 0.000 0.000
0.000 0.000 0.500
0.001 0.501 0.500
0.006 0.503 0.000
0.170 0.341 0.264
0.170 0.341 0.736
0.170 0.830 0.264
0.170 0.830 0.736
0.497 0.503 0.000
0.497 0.994 0.000
0.499 0.501 0.500
0.499 0.999 0.500
0.659 0.830 0.264
0.659 0.830 0.736
0.667 0.333 0.248
0.667 0.333 0.752
```

***

Entry 3:
Theoretical XRD peak list
Compound: Sm3Ag4Ge4
Radiation: λ = 1.5418 Å (Cu Kα)
Structure: a DFT-relaxed cell (PBE, the Materials Project)

Top 10 peaks for 2θ from 15° to 90°, low angle first:
d = 2.741 Å, 32.67°, rel. 100
d = 2.720 Å, 32.93°, rel. 28
d = 2.630 Å, 34.09°, rel. 95
d = 2.448 Å, 36.71°, rel. 31
d = 2.424 Å, 37.08°, rel. 27
d = 2.211 Å, 40.82°, rel. 45
d = 2.154 Å, 41.95°, rel. 38
d = 2.024 Å, 44.77°, rel. 28
d = 1.543 Å, 59.97°, rel. 26
+++
- A higher benefit rate (now only 55% of earnings up to a maximum of $413 per week) for all EI benefits including parental benefits, again as recommended by a Parliamentary Committee, and abolition of the two-week waiting period;
- New provisions that ensure that workers laid off in the months prior to or following a parental leave can get EI benefits for both interruptions of earnings.
Human Resources Minister Belinda Stronach, responding to the Supreme Court ruling, confirmed that the federal government has the “responsibility to evolve EI as society evolves.”
Canadian women will hold her to her word.
Calculated crystals from another source follow:
┌──
# 1
Diffraction record for AgHg2GeO4. The PXRD pattern is calculated, not measured: it uses a PBE-relaxed structure and Cu Kα, 1.54184 Å.

Largest 12 diffraction maxima, in order of rising 2θ, 5 to 70 degrees two-theta:
| d [Å] | two_theta | intensity |
| --- | --- | --- |
| 4.806 | 18.46 | 8 |
| 3.724 | 23.90 | 10 |
| 2.944 | 30.37 | 100 |
| 2.633 | 34.05 | 30 |
| 2.403 | 37.42 | 12 |
| 2.309 | 39.00 | 8 |
| 2.019 | 44.89 | 5 |
| 1.862 | 48.92 | 15 |
| 1.775 | 51.49 | 26 |
| 1.574 | 58.67 | 30 |
| 1.472 | 63.18 | 23 |
| 1.369 | 68.56 | 4 |

Structural model:
```
AgHg2GeO4
1.0
0.000 3.724 4.806
3.724 0.000 4.806
3.724 3.724 0.000
Ag Hg Ge O
1 2 1 4
Cartesian
0.000 0.000 0.000
1.862 1.862 2.395
5.585 5.586 7.201
3.724 3.724 4.797
5.216 3.724 3.787
3.724 2.233 5.807
2.231 3.724 3.787
3.724 5.215 5.807
```

=====

# 2
Diffraction record for MnRe2BAu. The PXRD pattern is calculated, not measured: it uses a PBE-relaxed structure and Cu Kα, 1.54184 Å.

Largest 12 diffraction maxima, in order of rising 2θ, 5 to 70 degrees two-theta:
| d [Å] | two_theta | intensity |
| --- | --- | --- |
| 4.957 | 17.89 | 52 |
| 4.810 | 18.44 | 100 |
| 3.452 | 25.81 | 16 |
| 2.833 | 31.58 | 24 |
| 2.479 | 36.24 | 61 |
| 2.405 | 37.39 | 28 |
| 2.217 | 40.70 | 14 |
| 2.203 | 40.96 | 56 |
| 1.753 | 52.19 | 22 |
| 1.726 | 53.05 | 41 |
| 1.647 | 55.83 | 23 |
| 1.417 | 65.94 | 21 |

Structural model:
```
MnRe2BAu
1.0
4.957 0.000 0.000
0.000 4.957 0.000
0.000 0.000 4.810
Mn Re B Au
1 2 1 1
Cartesian
0.000 0.000 0.000
0.000 2.479 2.405
2.479 0.000 2.405
2.479 2.479 0.000
0.000 0.000 2.405
```

=====

# 3
Diffraction record for KSn2Pb10. The PXRD pattern is calculated, not measured: it uses a PBE-relaxed structure and Cu Kα, 1.54184 Å.

Largest 12 diffraction maxima, in order of rising 2θ, 5 to 70 degrees two-theta:
| d [Å] | two_theta | intensity |
| --- | --- | --- |
| 8.177 | 10.82 | 28 |
| 5.659 | 15.66 | 22 |
| 3.310 | 26.94 | 34 |
| 2.881 | 31.04 | 100 |
| 2.865 | 31.22 | 47 |
| 2.829 | 31.62 | 54 |
| 2.586 | 34.69 | 29 |
| 2.574 | 34.86 | 59 |
| 2.568 | 34.95 | 34 |
| 2.541 | 35.33 | 97 |
| 1.793 | 50.93 | 24 |
| 1.655 | 55.53 | 30 |

Structural model:
```
KSn2Pb10
1.0
0.000 8.138 8.182
3.247 0.000 8.182
3.247 8.138 0.000
K Sn Pb
1 2 10
Cartesian
0.000 0.000 0.000
1.623 4.069 0.000
1.623 4.069 8.182
1.623 0.000 4.091
3.247 2.908 5.326
3.247 6.346 6.432
3.247 2.908 11.038
3.247 6.346 9.933
1.623 8.138 4.091
3.247 9.931 6.432
3.247 13.368 5.326
3.247 9.931 9.933
3.247 13.368 11.038
```

=====

# 4
Diffraction record for SrTl5Br7. The PXRD pattern is calculated, not measured: it uses a PBE-relaxed structure and Cu Kα, 1.54184 Å.

Largest 12 diffraction maxima, in order of rising 2θ, 5 to 70 degrees two-theta:
| d [Å] | two_theta | intensity |
| --- | --- | --- |
| 13.895 | 6.36 | 47 |
| 4.019 | 22.12 | 82 |
| 3.564 | 24.98 | 40 |
| 3.401 | 26.20 | 62 |
| 3.329 | 26.78 | 100 |
| 3.215 | 27.74 | 100 |
| 3.192 | 27.95 | 62 |
| 2.505 | 35.85 | 47 |
| 2.427 | 37.04 | 46 |
└──
(Margot Young is an associate professor of law at the University of British Columbia. Jane Pulkingham is associate professor of sociology at Simon Fraser University and chair of the Department of Sociology and Anthropology. Both are Research Associates with the B.C. Office of the CCPA.)
“Sighs of relief over this Court ruling must turn quickly to renewed calls on the federal government to live up to its full obligations to women.”